
At this point, they really shouldn’t have released the results until they had 100%. 

Ok, so I’ve not really delved all the way in to this, but it’s my understanding that the author has a grandparent from Puerto Rico.

“It remains unclear what ultimately led her to believe that the people crossing the border needed to be rendered human, and to whom she purported to humanize them—particularly since there is already a large body of work about the topic of contemporary immigration, written by Latinx authors and amassed over decades.” -

I know this is referring to an almost 20 year old book but I had a similar reaction to Ann Patchett’s Bel Canto which won lots of awards and made her famous, but in which she took (without explicitly acknowledging anywhere in the book, a foreword or afterword) a very real, very painful, very controversial event rooted

On the slim chance that Jeanine Cummins is reading this: There’s still time to make it right! You can’t go back in time and not write your book, nor can you go retroactively spend time with actual migrants for material. What you can do is donate some of your advance (and money earned from subsequent editions) to

My question is kind of besides the point but: If you’re going to write a book about migrantes, as she would apparently say, why would you choose an upper middle class family? I get that this is tied into cartel stuff, but aren’t these rarely the people that need coyotes to get them across the border? Like, why

This is a great article and makes great points, but I do want to clarify something: opioids CAN be life-saving drugs. Extreme pain can lead to skyrocketing blood pressure, which untreated can lead to stroke, aneurysm, or myriad other life-threatening conditions within a short time, and cause other life threatening


If the way the wind is blowing currently, I would say:

Exactly and also note he was gently grabbed by other people (who let go right after) and all he did was smile and greet them. Aggression is never acceptable. I wouldn’t react well to being grabbed in any way.

Agreed. I think it was way he reacted so quickly. He was so impatient and slapped her hand so she would let him go.

I get that he’s the Pope of the people and all that, but he still doesn’t deserve to be grabbed—he’s not public property. Because if some guy had grabbed a woman like that, and she had slapped his hand away, we’d probably think it was OK, right?

I honestly don’t blame him. I don’t care who the person is, you should not grab them unless you are pulling them out of the path of a moving car or they are on fire.

-- Between two parts of the piece: calculated molecules --
Arrangement one

Entry from OMol25: an isolated ion of composition C4H12N3 and charge +1 (ωB97M-V with the def2-TZVPD basis set).

charge = +1
spin multiplicity = 1
orbital gap = 10.49 eV
HOMO energy = -13.662 eV

Geometry (Å):
C 0.37138 -1.32173 1.61629
C -0.44300 0.05235 1.58426
C 0.17045 0.94901 0.49341
N -0.30107 1.97519 -2.52049
C -0.02179 0.75822 -2.08301
N -0.09314 0.39171 -0.84153
N 0.13251 -2.11732 0.39398
H 0.00990 -1.90888 2.45401
H 1.39949 -1.04119 1.79644
H -0.24383 0.45137 2.59165
H -1.51076 -0.05396 1.48196
H 1.25921 1.05491 0.55149
H -0.17600 1.97401 0.53111
H -0.37649 2.25420 -3.48310
H -0.52028 2.67261 -1.82381
H 0.29409 0.07318 -2.85254
H 0.80653 -2.87938 0.37254
H 0.00032 -0.68242 -0.73792
H -0.75752 -2.60188 0.47526



Arrangement two

Entry from OMol25: an isolated ion of composition C4H12N3 and charge +1 (ωB97M-V with the def2-TZVPD basis set).

charge = +1
spin multiplicity = 1
orbital gap = 10.34 eV
HOMO energy = -13.795 eV

Geometry (Å):
C -2.06900 0.66272 0.03703
C -1.54375 -0.73365 -0.19870
C -0.74183 0.29946 0.62938
C 0.59950 0.70244 -0.30409
N 0.92976 2.05810 -0.05943
N 1.73061 -0.29198 -0.12095
N 1.25802 -1.62570 -0.02028
H -2.18506 1.34828 -0.77833
H -2.77127 0.73067 0.75724
H -2.02468 -1.61654 0.22729
H -1.26322 -1.04429 -1.18828
H -0.47654 0.05566 1.64941
H 0.16497 0.50720 -1.37678
H 0.70375 2.41439 0.83751
H 1.89409 2.20768 -0.38778
H 2.51731 0.05573 0.45729
H 0.38760 -1.48376 -0.67179
H 0.90555 -2.01204 0.80506
H 1.98417 -2.23438 -0.29379



Least stable of them? arrangement two.



Arrangement one

Entry from OMol25: an isolated ion of composition C4H12N3 and charge +1 (ωB97M-V with the def2-TZVPD basis set).

charge = +1
spin multiplicity = 1
orbital gap = 8.32 eV
HOMO energy = -12.169 eV

Geometry (Å):
C 1.27447 0.91728 -0.94404
C 0.62008 -0.47474 -0.70983
C -0.60051 -0.55928 0.16530
C -0.54096 -0.80858 1.51626
N -1.03323 0.03754 2.46964
N -1.94705 -0.24882 -0.37854
N 2.42096 0.81174 -1.79486
H 0.42933 1.42375 -1.41205
H 1.42605 1.48178 -0.01725
H 0.34461 -0.85274 -1.69906
H 1.42104 -1.06125 -0.23055
H -0.07323 -1.65259 2.01190
H -1.33592 0.92262 2.09000
H -0.84030 0.05008 3.45369
H -2.12342 -0.80648 -1.22004
H -2.67488 -0.26267 0.33894
H -2.04900 0.71612 -0.73121
H 2.51793 1.55260 -2.46172
H 2.58604 -0.13275 -2.09854



Arrangement two

Entry from OMol25: a 2-piece molecular cluster, C4H12N3 overall (ωB97M-V with the def2-TZVPD basis set).

charge = +1
spin multiplicity = 1
orbital gap = 8.29 eV
HOMO energy = -11.672 eV

Geometry (Å):
C -2.08853 0.75846 1.70714
C -1.05899 -0.32724 1.62938
C 0.20878 -0.09338 1.24050
N -1.49369 -1.55521 2.06536
H -2.35414 0.91674 2.75329
H -3.00140 0.47927 1.17909
H -1.71440 1.69412 1.30043
H 0.94352 -0.87805 1.41304
H 0.55334 0.91360 1.05030
H -2.48212 -1.73493 1.96534
H -0.92875 -2.34960 1.80643
N 1.25571 0.83776 -3.22788
C 1.08847 0.39519 -2.00550
N 2.03377 -0.05161 -1.22624
H 2.16631 0.90311 -3.65829
H 0.45705 1.14107 -3.76063
H 0.07601 0.38486 -1.61449

I think the bias towards old Democrats is what’s whitening the stage. The top 3 are all 70+ which is a tad bit ridiculous.

Castro is a good guy and viable candidate but for some goddamn reason Biden is still standing and Petey has sucked the air out in these early stages. Castro will find his way to a VP nom and, if not on the winning ticket, he’ll definitely have a cabinet seat.

Got dragged to Starlight Express with the family when I was around 15 and can confirm that this video is completely accurate, that’s basically exactly what I remember


It feels like there is a new post every day on Jez about Cats. It’s like some new form of promotion that’s like negging, but to get you to see movies.

Like, I used to love The Aristocrats, but then these cats were just so not cute.

This is utterly horrific. First raped, then burned alive? That poor woman.
And 32,000 rapes in all of India? Given the population of India (over one billion) and the enormous stigma attached to rape, the actual number is many times that.

It’s about fucking time. This is long overdue. Virginity checks are medical bullshit based entirely on control.